Ever have one of those photography themes where you can’t think of a jazzy blog title?
– Get in Line
– On Line
– On the Line
– Lining Up
– In the Lines
Hmm… each feels a bit vague for the way a line can be a quintessential part of photography.
Commonly found as a rule of composition in leading lines, these types of lines lead the eye of the viewer into & around the scene of the image, frequently landing on the subject. Done correctly they have huge impact, done poorly your viewer will miss the subject in your image or miss where you want them to look.

_These materials data were left in the text by mistake_
Material: LaZrTl2
Method: DFT, GGA-PBE
State: optimized geometry

Computed properties:
**Total moment**: 2.87 Bohr magnetons per cell
**Crystal system**: trigonal
**Calculated volume**: 27.47 A^3/atom
**Formation energy**: -0.05 eV/atom
**Final energy**: -55.22 eV/cell

Cell: 3.4505 3.4505 31.9692 Å, 90.00 90.00 120.00°
Space group R-3m (No. 166, hexagonal axes)

This image is by my friend Kristine featuring her German shepherd Reilly. The day was hot, the shot a quick one. Reilly is very regal. The leading lines in this image don’t quite work well. The dashes lead you out of the frame with the road, while Reilly’s eyes lead you out of the frame on the left.
I did a couple of “dirty” edits to show her (and you) how different placement of Reilly within the frame would have changed the impact of the lines.
The first “dirty” edit shows a better placement of Reilly farther down the road so that the road and dashes lead to him. BAM! Instant impact with regal Reilly!
The second “dirty” edit merely has Reilly flipped. The impact is a bit more subtle, but his gaze leads you into the road and dashes that move out of the scene.
The general “rule” I have for dogs is to give more space in the direction they are looking. If they are looking to the left side of the frame, the dog should be positioned from the middle to the right of the frame. If they are looking right, they should be in the middle to the left of the frame. This gives the leading lines of the eyes some room to lead the viewer instead of just dropping them out of the frame.
Crazy how head placement or placement of a dog can make lines work or not work in an image!
More on lines!
Basically lines move from point A to point B. They can be straight, curved, diagonal, horizontal, vertical, organic, manmade, subtle, bold and implied.
- Horizontal lines. Typically found in the horizon of an image. They are calm, relaxed & static.
- Vertical lines. Lines that go from top to bottom instead of side to side. They imply power, strength and are dynamic.
- Diagonal lines. Lines that move on an angle within the image. They create movement, are dynamic and add tension to an image. Diagonals also create depth when they converge at a point.
- Curved lines. Lines that flow throughout an image. The classic example is a winding road in the mountains or a river that flows lazily across the landscape.
- Organic lines. Found in & made by nature. Trees, shells, animals, rocks etc.
- Manmade lines. Created & crafted by a human hand or machine. Fences, playgrounds, roads, bridges, and beyond.
- Implied lines. Lines that don’t physically exist but are implied. Frequently found in spaces between objects and in the direction of eyes. That dog sitting and looking up at something that makes everyone stop and look to see what the dog is looking at – that’s implied lines in motion.

**Misplaced calculated crystals:**
<<<
Tc2TeP2: optimized geometry, PBE.

Cell: 6.7254 6.7254 6.7254 Å, 148.23 148.23 45.54°
Closest atoms and distances in Å follow each position.
Element x y z (fractional)
1 Tc 0.1301 0.1301 0.0000  4 P 2.37
2 Tc 0.8699 0.8699 0.0000  4 P 2.37
3 Te 0.5000 0.5000 0.0000  8 Tc 3.06
4 P 0.2500 0.7500 0.5000  4 Tc 2.37, 4 P 2.60
5 P 0.7500 0.2500 0.5000  4 Tc 2.37, 4 P 2.60

Summary:
- crystal system = tetragonal
- space-group type = I4/mmm
- energy above the most stable polymorph in this dataset (eV per formula unit) = 0.00
- E_form (uncorrected) (eV per atom) = -0.10
- mass density (g/cm³) = 7.6
>>>
**The calculated crystals stop here:**

Vertical lines! Both Blue & the gate to our fence! The edge of the sideway is a diagonal, and Blue’s eyes are implied diagonal lines. I have no idea what he was watching but it caught his attention solidly!

All the lines! Playgrounds have ample styles of lines! This playground has orange horizontal bars, plus orange curved bars. Dark green supports make chunky vertical lines, while the wood of the steps and platforms is horizontal… except when its viewed at different angles!
In fact, the shadowed lines between each wood plank lend to a ton of diagonals! Another diagonal is found in the steps for the slide in the background plus the shadow from one of the vertical green columns! Plus the angle change of the horizontal orange bar adds even more diagonals to the scene.
And we can’t forget the vertical lines of Blue when he’s in a sitting position!

Ample horizontal lines in this image of Blue! The sidewalk, the road, our fence and the edge of the garden along the fence! (And those rectangles of color? Spray painted repurposed picture frames!)
Not only are there strong horizontal lines, but a strong vertical line from Blue in a sit. Did you see the diagonal line of his tail?
Lines are great elements of composition that can lead your viewer’s eye into the image and to your subject. Additionally they can create depth, movement, and add or calm tension in your image. Used well, they will amp up your images. Used haphazardly, they can make your image weak and your viewer’s eye might just bypass what you want them to look at.
Huzzah for lines!
(Boo for hard to concoct blog titles!)
We’re in a blog ring of pet photographers around the world! Next up: Toronto based dog photographer Terri of Terri J Photography shares how to use the technique of leading lines to get better dog portraits.
Great post Cahlean, and love that we got an up-to-date sneak peek of Blue, he’s getting big! (oh, and how clever are those painted picture frames on the fence!)
So many lines at a playground – perfect spot for the topic! Blue is such a great little model -love him lying down with his head on the wood – such a cutie!!!